George Montgomery is Major Frank Archer, a cavalry commander sent to a fort in Oregon where the troops have been frustrated by the Rogue River Indians under Chief Mike.
He finds a demoralized bunch of soldiers, badly in need of discipline. One bright spot is frontiersman Stacey Wyatt (Richard Denning) and his volunteers. They’ve been fighting side by side with the troopers, helping save them from annihilation.
But no more than Archer hatches a plan to outwit Chief Mike than new orders come from the East, asking him to seek a peaceful settlement with the Indians. He secures an uneasy truce, with one side pledging to stay on each side of the river.
That peace is short-lived. Because for some reason a troop of soldiers under command of one of Archer’s most experienced sergeants crosses the river and attacks the Indian village. Archer isn’t sure why, but he knows what it means: All-out war with Chief Mike.

George Montgomery as Maj. Frank Archer, sent to deal with Chief Mike and his troublesome tribe in The Battle of Rogue River (1954)

Michael Granger as Chief Mike, leader of the Rogue River Indians in The Battle of Rogue River (1954)
In an early scene, Archer has his men fire a cannon at a tree, knocking it down. Indians hiding in the trees hop onto their horses and flee as fast as possible, telling Chief Mike that soldiers have arrived with a gun so big it can shoot down entire forests.
That’s just a sample of the silliness to come. In fact, director William Castle and company serve up another big dose with an improbable ending.
In between, we learn that white civilians who would benefit if Oregon doesn’t become a state are responsible for stirring up the hostilities.And Montgomery spends lots of time sparring with pretty Brett McClain (Martha Hyer), who falls for him, of course.
Not one of Montgomery’s best.

Martha Hyer as Brett McClain, getting her first glimpse of the new post commander Maj. Archer in The Battle of Rogue River (1954)

The following is a DFT calculation (wB97M-V/def2-TZVPD) of a single C7H7N3 molecule.

Atoms and positions in Å:
C 1.2259 -0.8629 -2.3359
C 0.8316 -1.0111 -1.2003
C 0.4661 -1.0167 0.2140
C 1.3131 0.2570 0.8620
C 0.3604 1.5156 0.7740
C -0.9058 0.9019 0.4323
N -2.1520 1.2979 0.2386
N -2.8775 0.2657 -0.0838
C -2.0979 -0.7649 -0.0650
N -0.8349 -0.4488 0.3144
H 1.7048 -0.7673 -3.2367
H 0.5808 -2.0268 0.5154
H 2.1987 0.2966 0.1529
H 1.6123 -0.1025 1.9105
H 0.8256 2.2228 0.1333
H 0.3150 1.9883 1.8165
H -2.5663 -1.7448 -0.4425

Its maximum force is 4.33 eV/Å. The value obtained for the molar mass is 133.154 g/mol. For the energy, the calculation gives -11839.115 eV. The value obtained for the gap between HOMO and LUMO is 0.3666 Ha. The HOMO energy is -9.26 eV.

Here are the Mulliken charges for atoms 1 to 2, given in e: 0.11 -0.89

----------

Entry 1:
182
Properties=species:S:1:pos:R:3:forces:R:3 method="wB97M-V/def2-TZVPD" mol_weight_da=1009.498 total_energy_ha=-3254.037251 lumo_ev=0.5 total_charge=0 orbital_gap_ev=9.75 homo_ev=-9.3 largest_force_ev_per_a=1.53
O -1.78916 -2.88832 5.02586 -0.04 -0.31 0.10
H 0.78678 1.53796 -3.97198 -0.01 0.15 0.15
H 0.43917 1.39640 0.38972 0.12 -0.10 0.00
H -4.29965 -4.33871 -2.06479 0.33 0.21 0.11
C 2.79179 -0.05688 4.49731 0.07 0.60 1.08
H 2.52443 -1.95401 -4.10082 0.26 -0.17 -0.14
O -2.36659 1.32831 4.13228 -0.22 -0.52 -0.57
H 3.55838 5.14571 0.76414 0.00 -0.04 -0.03
H -3.41927 -2.56490 -0.58607 -0.04 -0.19 0.30
H 5.34009 0.14285 -3.14067 0.18 0.17 -0.17
C -5.17346 -3.52883 0.40809 -0.49 -0.01 -0.82
H -0.86455 -3.12326 3.18366 0.04 0.08 -0.19
H -4.76501 4.06322 2.65844 0.24 -0.04 -0.21
H -1.23221 -0.24564 -3.40454 0.09 -0.08 0.18
H 2.48081 -4.31691 -4.16605 0.13 -0.49 0.19
H 6.47786 2.84794 -1.20014 0.39 0.03 -0.06
H 1.08517 -2.60693 5.04362 0.31 -0.05 -0.26
H -0.61484 -2.83714 -2.60199 0.14 0.00 -0.19
H 0.63606 5.00768 -3.23324 -0.11 -0.25 0.03
O 3.18692 3.04844 -4.33157 0.26 0.28 0.14
H -4.04707 4.71311 0.49071 0.09 -0.01 -0.13
C 2.34772 -3.94459 -3.14845 -0.08 0.51 0.16
O -1.44300 4.79275 -2.97495 0.09 -0.61 -0.23
C 2.70359 2.08743 1.80784 -0.38 1.38 0.29
H -5.40138 -2.94048 1.29425 -0.23 -0.05 0.02
C -1.66253 -3.37662 -4.47537 -0.25 -0.17 -0.08
H 1.60346 3.56161 0.62792 0.23 0.44 0.31
H 6.65859 -0.92822 -2.65135 0.34 0.27 -0.27
H 0.82762 -1.48578 6.33748 -0.09 0.05 -0.05
C 4.63960 -3.78821 -2.58192 -0.86 -0.95 -0.18
H -4.28595 -0.17845 -3.94129 0.17 0.19 0.10
H 2.25423 -1.92214 -2.38611 0.42 0.00 0.15
O -4.15953 2.65087 0.49396 0.20 0.21 -0.27
H -3.42408 -4.27731 2.80008 0.34 -0.19 0.24
C -4.60532 2.35864 -2.82567 1.03 -0.29 -0.72
H 0.97549 5.87654 -0.99813 0.03 -0.02 -0.07
C 5.44703 -0.24476 -1.03839 -0.21 0.39 1.00
O -0.87181 -1.14249 0.87196 0.06 -0.44 0.09
C 3.35739 -4.49872 -2.14529 0.54 -0.76 -0.51
H 2.80794 2.73322 -0.28811 -0.17 -0.15 0.05
H -3.85780 2.61843 4.47617 0.04 0.37 0.05
C -1.14842 0.00517 0.07555 0.06 0.07 -0.16
H 4.55417 1.68078 -0.71729 0.05 0.11 0.17
(So much for the molecular data)

Richard Denning as Stacey Wyatt, signing up irregulars in exchange for a kiss from Brett McClain in The Battle of Rogue River (1954)
Directed by:
William Castle
George Montgomery … Maj. Frank Archer
Martha Hyer … Brett McClain
Richard Denning … Stacey Wyatt
Michael Granger … Chief Mike
Emory Parnell … Sgt. McClain
John Crawford … Capt. Hillman
Willis Bouchey … Maj. Wallach
Freeman Morse … Private Reed
Charles Evans … Matt Parish
Lee Roberts … Lt. Keith Ryan
Frank Sully … Private Kohler
Runtime: 71 min.

Charles Evans as Matt Paris, pledging support for Stacey Wyatt’s militia in The Battle of Rogue River (1954)

Willis Bouchey as Maj. Wallach, relieved of his command because of his inability to quell the Indian uprising in The Battle of Rogue River (1954)
Memorable lines:
Archer, to a fellow officer who saves his life: “Thanks. For a second there, my back was as bare as a baby’s bottom.”
Chief Mike to Archer: “I have heard of your great rifles which knock down trees. But guns which can shoot through mountains are beyond belief.”
Chief Mike to Archer: “You have made the crooked tongue speak straight.”
Chief Mike to Archer, after killing Stacey Wyatt: “He’s guilty by your law. He’s dead by our law.”

┌──
1.
Below is a structure of composition C34H91MnN7O9 in a non-equilibrium geometry, with properties calculated with wB97M-V/def2-TZVPD.

Last column: Mulliken charge in e.
Positions of all 142 atoms, in Å:
H  1.808  -3.146  0.873  0.249
O  1.834  -1.616  2.186  0.535
H  0.574  -1.175  -7.200  0.186
H  -2.506  0.635  -2.266  0.065
N  4.265  1.726  -0.788  -0.080
C  -2.471  -2.208  -0.589  -1.444
N  -4.040  -1.901  3.377  -0.751
H  0.290  -3.108  -4.634  0.344
H  -1.297  -0.357  -4.280  0.473
H  2.027  0.280  4.039  0.012
H  -0.677  2.988  -7.124  0.310
H  -2.055  2.229  -2.789  0.218
C  -4.470  -4.323  3.541  -0.827
H  2.179  2.382  5.353  0.467
H  0.329  0.937  -5.491  0.441
O  -4.211  3.468  2.534  -0.101
C  -2.115  -3.375  3.523  -1.007
H  2.481  2.152  1.904  -0.226
H  -5.351  -6.441  4.509  0.342
N  2.025  -1.685  -2.638  -0.378
O  0.802  1.829  -0.393  0.161
C  6.358  1.768  2.358  -1.019
H  -6.161  2.911  2.956  0.488
H  -0.311  -0.307  -2.239  -0.165
N  2.837  -0.720  -0.100  0.645
H  -5.929  -6.841  2.879  0.248
H  -1.437  -2.628  3.111  -0.495
H  3.934  -3.427  -2.982  0.369
C  1.221  -2.214  3.330  -1.103
C  2.605  2.309  4.353  -1.628
H  1.313  -2.175  -2.116  -0.610
C  0.645  3.850  -1.841  -1.594
H  3.088  -3.226  2.040  0.716
H  3.374  0.918  2.143  -0.944
H  0.786  -3.206  3.209  0.436
C  -4.456  1.629  0.196  -1.150
H  -4.865  -1.797  2.804  0.281
C  1.884  1.223  3.512  0.889
H  3.516  -0.009  -0.331  0.158
H  1.507  3.569  -2.446  0.358
C  0.624  -2.262  -7.141  -0.652
H  0.910  -2.552  -8.153  0.313
H  -0.999  -4.627  -0.964  0.448
H  -1.783  -4.376  3.247  0.493
H  -0.284  2.439  -4.775  0.325
H  5.161  3.615  -2.355  0.418
H  -1.529  3.095  -0.116  -0.141
H  3.416  -4.052  -4.585  0.462
C  0.618  3.208  -0.371  1.064
H  0.654  -1.479  -4.731  -0.470
H  2.525  -4.405  -3.137  0.272
C  -1.159  2.020  -7.258  -0.747
H  -0.696  3.335  1.372  -0.153
C  0.380  1.423  3.485  -1.596
C  -0.698  3.644  0.327  -0.826
O  -4.314  -5.567  2.942  -0.292
H  -3.497  -1.170  2.941  -0.020
H  -4.755  5.435  2.558  0.344
H  4.508  1.451  -1.729  0.174
H  5.234  -0.492  0.599  0.394
C  -1.620  0.414  2.650  0.018
H  4.615  -0.766  2.197  0.152
H  -2.005  2.077  -7.942  0.283
H  -2.955  -1.448  0.025  -0.127
C  -5.263  1.579  1.497  1.425
H  -0.450  -3.344  -2.106  0.293
N  -0.010  0.394  -2.901  -0.185
H  -4.392  -7.513  3.452  0.237
H  6.795  1.335  1.458  0.339
C  -2.219  1.212  -3.145  -1.264
H  -1.980  -0.359  1.972  -0.965
C  -5.044  -6.640  3.483  -0.762
C  5.163  2.798  -0.359  -0.201
H  -1.802  0.134  3.688  0.593
H  -3.031  -3.125  -0.407  0.566
H  -3.462  2.025  0.404  -0.167
H  0.103  2.465  3.320  0.322
H  5.745  4.808  -1.173  0.395
C  3.087  -3.619  -3.641  -1.567
H  -3.615  5.035  3.757  0.247
C  4.821  -1.263  1.249  -1.716
H  5.577  -2.000  1.518  0.496
H  -5.302  4.507  3.973  0.338
H  -4.360  0.747  -0.436  0.494
C  3.572  -1.792  0.490  1.146
C  -3.540  -3.243  2.971  1.709
H  -4.690  0.970  2.196  -0.347
└──

Emory Parnell as Sgt. McClain with his daughter Brett (Martha Hyer) in The Battle of Rogue River (1954)

George Montgomery as Maj. Frank Archer, watching for hostile Indians with a fellow officer in The Battle of Rogue River (1954)